Assignment.
Could you say how many lines of the listing further down hold the word "magnetization", as a bare number?
Material.
/*
# Li2TiFe3O8

An optimized crystal structure of Li2TiFe3O8 (PBE with a Hubbard U, the Materials Project database).

Properties
crystal system	triclinic
ΔH_f (0 K)	-2.15	eV/atom
E above lowest polymorph	0.0047	eV/atom
total energy after the MP2020 corrections	-213.5	eV per cell

Lattice parameters (Å, degrees): 5.9873 6.0477 8.3870 89.95 89.92 88.41
Space group P1 (No. 1)
Unique sites:
Li1 0.0000 0.0000 0.0000 [1 per cell]
Li2 0.0096 0.5009 0.7623 [1 per cell]
Li3 0.4975 0.4973 0.4994 [1 per cell]
Li4 0.5115 0.0015 0.2628 [1 per cell]
Ti1 0.2548 0.5098 0.1304 [1 per cell]
Ti2 0.7599 0.0092 0.6327 [1 per cell]
Fe1 0.0021 0.7490 0.3834 [1 per cell]
Fe2 0.0075 0.2493 0.3787 [1 per cell]
Fe3 0.2573 0.9960 0.6309 [1 per cell]
Fe4 0.5023 0.2488 0.8833 [1 per cell]
Fe5 0.5079 0.7491 0.8785 [1 per cell]
Fe6 0.7525 0.4953 0.1317 [1 per cell]
O1 0.9998 0.2838 0.1354 [1 per cell]
O2 0.0118 0.2172 0.6268 [1 per cell]
O3 0.0169 0.7305 0.1401 [1 per cell]
O4 0.2290 0.4929 0.3652 [1 per cell]
O5 0.2359 0.9944 0.4033 [1 per cell]
O6 0.2766 0.0018 0.8596 [1 per cell]
O7 0.2794 0.5075 0.8963 [1 per cell]
O8 0.4914 0.2720 0.1234 [1 per cell]
O9 0.5024 0.7832 0.6354 [1 per cell]
O10 0.5094 0.7167 0.1267 [1 per cell]
O11 0.5183 0.2289 0.6402 [1 per cell]
O12 0.7310 0.9927 0.8661 [1 per cell]
O13 0.7346 0.4943 0.9034 [1 per cell]
O14 0.7750 0.5023 0.3599 [1 per cell]
O15 0.7806 0.0075 0.3974 [1 per cell]
O16 0.9935 0.7720 0.6238 [1 per cell]


DFT (GGA+U) results for a relaxed Li3Fe2P2C2O14 crystal.

Properties
total magnetization: 18.00 Bohr magnetons per cell
SG: P-1, No. 2
formation enthalpy at 0 K: -2.18 eV/atom
offset from the most stable computed form: 1 meV per atom

Cell lengths 8.262, 8.279, 9.444 Å; angles 106.58, 107.27, 103.21 degrees
Element x y z (fractional)
1 O 0.278 0.021 0.837
2 O 0.929 0.164 0.527
3 O 0.865 0.615 0.095
4 P 0.693 0.452 0.424
5 O 0.232 0.470 0.168
6 O 0.071 0.836 0.473
7 O 0.224 0.658 0.676
8 O 0.339 0.125 0.100
9 Fe 0.443 0.695 0.329
10 C 0.247 0.495 0.041
11 O 0.100 0.032 0.308
12 O 0.442 0.670 0.532
13 Fe 0.934 0.192 0.334
14 O 0.135 0.385 0.905
15 O 0.352 0.095 0.575
16 O 0.558 0.330 0.468
17 O 0.832 0.609 0.580
18 O 0.580 0.518 0.303
19 O 0.380 0.636 0.070
20 O 0.892 0.136 0.074
21 O 0.620 0.364 0.930
22 Li 0.717 0.753 0.719
23 C 0.753 0.505 0.959
24 O 0.776 0.342 0.324
25 O 0.168 0.391 0.420
26 Li 0.560 0.307 0.104
27 Li 0.931 0.192 0.894
28 C 0.757 0.994 0.040
29 O 0.731 0.172 0.689
30 O 0.768 0.530 0.832
31 O 0.722 0.979 0.163
32 O 0.269 0.828 0.311
33 O 0.420 0.482 0.697
34 P 0.200 0.950 0.420
35 O 0.648 0.905 0.425
36 O 0.108 0.864 0.926
37 Li 0.283 0.247 0.281
38 Fe 0.557 0.305 0.671
39 C 0.243 0.006 0.960
40 O 0.900 0.968 0.692
41 Fe 0.066 0.808 0.666
42 P 0.307 0.548 0.576
43 P 0.800 0.050 0.580
44 Li 0.069 0.808 0.106
45 O 0.661 0.875 0.900
46 Li 0.440 0.693 0.896


DFT (PBE-GGA) results for a relaxed Na8TiZn3Si3S3O24 crystal.

extended XYZ file:
```
126
Lattice="-2.7994 -2.6110 -8.2722 5.6508 -5.4157 4.7273 -17.1561 -10.5240 8.9825" Properties=species:S:1:pos:R:3 pbc="T T T"
Na -0.5563 -9.7490 1.8248
Na -3.1542 -5.5616 0.8896
Na -0.8143 -6.0239 5.1881
Na -10.7620 -12.9004 4.3332
Na -13.6590 -12.3287 0.2482
Na -13.6794 -8.8816 3.5448
Na -8.9729 -8.7602 4.2920
Na -5.9089 -10.0205 8.1553
Na -6.4899 -12.9512 4.3027
Na 3.3036 -6.6919 2.8277
Na 0.6135 -6.3636 -1.4218
Na 0.4436 -2.8705 1.9227
Na -14.6892 -15.9264 3.3053
Na -17.3179 -11.6583 2.4796
Na -15.0433 -12.0503 7.0583
Na -8.0940 -8.5247 -2.8308
Na -8.1100 -5.3483 1.1418
Na -5.4133 -10.0738 1.2218
Na -5.8004 -13.1732 0.9430
Na -17.1210 -10.6214 8.8883
Na -14.3334 -12.1918 3.4304
Na -5.8241 -7.1387 -1.0056
Na 0.0476 -6.0563 1.8731
Na -8.3956 -11.5238 6.2078
Ti -16.8273 -13.9289 4.9069
Ti -8.2742 -8.6179 0.4606
Ti -11.1223 -13.2117 7.8396
Zn -3.2634 -11.6314 -0.3533
Zn -14.4900 -9.0671 7.7092
Zn -8.2615 -14.5667 2.3166
Zn 3.1693 -6.9368 5.8679
Zn -11.5971 -10.5042 2.1523
Zn -2.7863 -5.3935 -2.3541
Zn 2.5710 -4.4706 0.7256
Zn -5.8344 -10.1403 5.0357
*/
Outcome.
1